It remains to transcribe everything further down without additions.

+++
# 1
Entry from OMol25: a structure of composition C4H2NO2 (ωB97M-V/def2-TZVPD).

```
! wB97M-V def2-TZVPD RIJCOSX def2/J DEFGRID3
* xyz -1 3
C 0.94 -0.94 0.38
C 1.19 0.90 -0.37
C 0.04 0.10 0.12
C -1.94 0.07 0.00
N 2.10 0.02 -0.14
O -2.41 0.55 0.99
O -2.23 -0.52 -0.97
H 1.00 -2.06 0.75
H 1.30 1.87 -0.76
*
```

* strongest force on any atom: 0.12639 Eh/bohr
* orbital gap (alpha / beta): 6.894 / 6.761 eV
* M: 96.06 g mol⁻¹
* energy relative to the best compared isomer or geometry (same formula, charge and spin): 70.8 kJ/mol
* LUMO (alpha / beta): 4.313 / 3.294 eV
* <S²>: 2.007


# 2
Entry from OMol25: a cluster of 2 separate species, C4H9Cl3N in total (ωB97M-V/def2-TZVPD).

```
! wB97M-V def2-TZVPD RIJCOSX def2/J DEFGRID3
* xyz 1 3
C 0.90 0.02 -1.65
C -2.19 0.58 0.65
C 0.21 0.54 -0.49
C 1.89 -0.50 1.26
N -1.06 -0.10 -0.12
Cl 1.27 -2.10 0.94
Cl 3.44 -0.17 0.62
Cl 1.56 0.14 2.82
H 1.73 0.58 -1.93
H 1.30 -0.97 -1.25
H 0.16 -0.30 -2.44
H -2.70 1.35 -0.05
H -2.74 -0.23 0.90
H -1.78 1.21 1.44
H 0.27 1.52 -0.29
H -0.98 -0.93 0.57
H -1.28 -0.62 -0.99
*
```

* strongest force on any atom: 0.11723 Eh/bohr
* orbital gap (alpha / beta): 8.447 / 9.288 eV
* M: 177.48 g mol⁻¹
* energy relative to the best compared isomer or geometry (same formula, charge and spin): 0.0 kJ/mol
* LUMO (alpha / beta): -3.245 / -5.646 eV
* <S²>: 2.008


# 3
Entry from OMol25: a cluster of 2 separate species, HIN4 in total (ωB97M-V/def2-TZVPD).

```
! wB97M-V def2-TZVPD RIJCOSX def2/J DEFGRID3
* xyz 0 1
N 0.16 1.29 0.42
N -0.72 0.56 0.13
N -1.43 -0.30 0.08
N 0.46 -1.63 -1.20
I 1.60 -2.21 0.15
H -0.07 2.28 0.42
*
```

* strongest force on any atom: 0.08719 Eh/bohr
* orbital gap (alpha / beta): 7.963 / 7.833 eV
* M: 183.94 g mol⁻¹
* energy relative to the best compared isomer or geometry (same formula, charge and spin): 469.0 kJ/mol
* LUMO (alpha / beta): -1.084 / -1.162 eV


# 4
Entry from OMol25: a cluster of 13 separate species, C24H70IN5O17PS in total (ωB97M-V/def2-TZVPD).

```
! wB97M-V def2-TZVPD RIJCOSX def2/J DEFGRID3
* xyz 1 1
C -1.56 -1.84 3.75
C -0.61 -1.20 2.72
C -1.32 -0.08 1.98
C -0.40 0.94 1.21
C 1.08 0.57 1.25
C -0.97 1.20 -0.18
C -1.23 -0.05 -1.08
C -0.47 -1.37 -0.91
C 0.91 -1.56 -1.51
C 1.34 -3.04 -1.35
C 2.39 -3.30 -0.28
C 3.78 -2.73 -0.59
C 4.24 -1.62 0.32
S 4.43 -2.26 2.02
C 4.48 -0.76 2.85
N 5.25 0.25 2.59
N 4.96 1.21 3.52
C 4.06 0.71 4.28
O 3.67 -0.53 3.92
C -2.34 1.93 -0.12
P -2.41 3.31 1.07
N -1.15 4.21 1.05
O -2.69 2.66 2.51
O -3.74 4.07 0.74
C -2.57 2.57 -1.49
C -3.41 1.82 -2.53
C -4.52 0.95 -1.99
O -5.30 1.53 -0.95
C -6.23 2.49 -1.24
C -6.69 2.65 -2.65
O -6.67 3.13 -0.33
C -1.12 2.88 -1.98
I -0.88 4.99 -2.27
N -0.20 2.26 -1.00
N 1.01 1.82 -1.66
C 1.97 2.89 -1.85
C 3.29 2.31 -2.37
H -2.35 -1.16 4.06
H -1.01 -2.09 4.65
H -2.02 -2.75 3.38
H 0.24 -0.84 3.27
H -0.34 -2.00 2.06
H -2.05 -0.47 1.29
H -1.88 0.48 2.71
H -0.47 1.87 1.76
H 1.44 0.74 2.26
H 1.68 1.20 0.61
H 1.28 -0.46 1.03
H -2.25 -0.32 -0.88
H -1.19 0.23 -2.12
H -1.11 -2.10 -1.40
H -0.41 -1.69 0.12
H 0.92 -1.28 -2.56
H 1.61 -0.94 -0.97
H 0.46 -3.58 -1.04
H 1.72 -3.44 -2.28
H 2.48 -4.38 -0.20
H 2.06 -2.96 0.70
H 4.52 -3.53 -0.55
H 3.79 -2.38 -1.62
H 5.21 -1.28 0.00
H 3.56 -0.79 0.35
H 3.62 1.17 5.14
H -3.13 1.26 0.18
H -0.67 4.25 1.94
H -1.94 2.82 3.09
H -3.50 5.00 0.64
H -3.02 3.54 -1.43
H -3.82 2.57 -3.21
H -2.79 1.17 -3.14
H -5.12 0.57 -2.80
H -4.06 0.08 -1.53
H -5.97 3.16 -3.27
H -7.61 3.20 -2.60
H -6.92 1.68 -3.09
H -1.05 2.48 -2.97
H 0.13 2.97 -0.32
H 0.76 1.35 -2.52
H 2.14 3.41 -0.91
H 1.65 3.61 -2.60
H 4.13 2.70 -1.83
H 3.27 1.23 -2.34
H 3.39 2.59 -3.41
O 3.69 3.59 -5.35
H 3.13 4.37 -5.46
H 4.24 3.56 -6.14
O -1.39 -3.38 6.84
H -1.18 -3.73 7.71
H -1.77 -2.51 7.01
O 0.55 -5.97 -1.76
H -0.03 -6.59 -2.22
H 0.76 -6.41 -0.92
O -2.06 -0.36 -4.59
H -2.62 -0.18 -5.35
H -2.21 -1.29 -4.38
O 6.12 -2.64 -2.63
H 6.52 -3.48 -2.37
H 6.85 -2.02 -2.61
O 1.80 4.85 -4.66
H 0.97 4.57 -5.05
H 1.74 5.80 -4.62
O 1.65 -3.15 6.82
H 0.80 -3.45 6.47
H 1.54 -2.19 6.88
O 0.30 4.00 4.08
H 0.88 3.28 4.35
+++

# 1
Entry from OMol25: a structure of composition C4H2NO2 (ωB97M-V/def2-TZVPD).

```
! wB97M-V def2-TZVPD RIJCOSX def2/J DEFGRID3
* xyz -1 3
C 0.94 -0.94 0.38
C 1.19 0.90 -0.37
C 0.04 0.10 0.12
C -1.94 0.07 0.00
N 2.10 0.02 -0.14
O -2.41 0.55 0.99
O -2.23 -0.52 -0.97
H 1.00 -2.06 0.75
H 1.30 1.87 -0.76
*
```

* strongest force on any atom: 0.12639 Eh/bohr
* orbital gap (alpha / beta): 6.894 / 6.761 eV
* M: 96.06 g mol⁻¹
* energy relative to the best compared isomer or geometry (same formula, charge and spin): 70.8 kJ/mol
* LUMO (alpha / beta): 4.313 / 3.294 eV
* <S²>: 2.007


# 2
Entry from OMol25: a cluster of 2 separate species, C4H9Cl3N in total (ωB97M-V/def2-TZVPD).

```
! wB97M-V def2-TZVPD RIJCOSX def2/J DEFGRID3
* xyz 1 3
C 0.90 0.02 -1.65
C -2.19 0.58 0.65
C 0.21 0.54 -0.49
C 1.89 -0.50 1.26
N -1.06 -0.10 -0.12
Cl 1.27 -2.10 0.94
Cl 3.44 -0.17 0.62
Cl 1.56 0.14 2.82
H 1.73 0.58 -1.93
H 1.30 -0.97 -1.25
H 0.16 -0.30 -2.44
H -2.70 1.35 -0.05
H -2.74 -0.23 0.90
H -1.78 1.21 1.44
H 0.27 1.52 -0.29
H -0.98 -0.93 0.57
H -1.28 -0.62 -0.99
*
```

* strongest force on any atom: 0.11723 Eh/bohr
* orbital gap (alpha / beta): 8.447 / 9.288 eV
* M: 177.48 g mol⁻¹
* energy relative to the best compared isomer or geometry (same formula, charge and spin): 0.0 kJ/mol
* LUMO (alpha / beta): -3.245 / -5.646 eV
* <S²>: 2.008


# 3
Entry from OMol25: a cluster of 2 separate species, HIN4 in total (ωB97M-V/def2-TZVPD).

```
! wB97M-V def2-TZVPD RIJCOSX def2/J DEFGRID3
* xyz 0 1
N 0.16 1.29 0.42
N -0.72 0.56 0.13
N -1.43 -0.30 0.08
N 0.46 -1.63 -1.20
I 1.60 -2.21 0.15
H -0.07 2.28 0.42
*
```

* strongest force on any atom: 0.08719 Eh/bohr
* orbital gap (alpha / beta): 7.963 / 7.833 eV
* M: 183.94 g mol⁻¹
* energy relative to the best compared isomer or geometry (same formula, charge and spin): 469.0 kJ/mol
* LUMO (alpha / beta): -1.084 / -1.162 eV


# 4
Entry from OMol25: a cluster of 13 separate species, C24H70IN5O17PS in total (ωB97M-V/def2-TZVPD).

```
! wB97M-V def2-TZVPD RIJCOSX def2/J DEFGRID3
* xyz 1 1
C -1.56 -1.84 3.75
C -0.61 -1.20 2.72
C -1.32 -0.08 1.98
C -0.40 0.94 1.21
C 1.08 0.57 1.25
C -0.97 1.20 -0.18
C -1.23 -0.05 -1.08
C -0.47 -1.37 -0.91
C 0.91 -1.56 -1.51
C 1.34 -3.04 -1.35
C 2.39 -3.30 -0.28
C 3.78 -2.73 -0.59
C 4.24 -1.62 0.32
S 4.43 -2.26 2.02
C 4.48 -0.76 2.85
N 5.25 0.25 2.59
N 4.96 1.21 3.52
C 4.06 0.71 4.28
O 3.67 -0.53 3.92
C -2.34 1.93 -0.12
P -2.41 3.31 1.07
N -1.15 4.21 1.05
O -2.69 2.66 2.51
O -3.74 4.07 0.74
C -2.57 2.57 -1.49
C -3.41 1.82 -2.53
C -4.52 0.95 -1.99
O -5.30 1.53 -0.95
C -6.23 2.49 -1.24
C -6.69 2.65 -2.65
O -6.67 3.13 -0.33
C -1.12 2.88 -1.98
I -0.88 4.99 -2.27
N -0.20 2.26 -1.00
N 1.01 1.82 -1.66
C 1.97 2.89 -1.85
C 3.29 2.31 -2.37
H -2.35 -1.16 4.06
H -1.01 -2.09 4.65
H -2.02 -2.75 3.38
H 0.24 -0.84 3.27
H -0.34 -2.00 2.06
H -2.05 -0.47 1.29
H -1.88 0.48 2.71
H -0.47 1.87 1.76
H 1.44 0.74 2.26
H 1.68 1.20 0.61
H 1.28 -0.46 1.03
H -2.25 -0.32 -0.88
H -1.19 0.23 -2.12
H -1.11 -2.10 -1.40
H -0.41 -1.69 0.12
H 0.92 -1.28 -2.56
H 1.61 -0.94 -0.97
H 0.46 -3.58 -1.04
H 1.72 -3.44 -2.28
H 2.48 -4.38 -0.20
H 2.06 -2.96 0.70
H 4.52 -3.53 -0.55
H 3.79 -2.38 -1.62
H 5.21 -1.28 0.00
H 3.56 -0.79 0.35
H 3.62 1.17 5.14
H -3.13 1.26 0.18
H -0.67 4.25 1.94
H -1.94 2.82 3.09
H -3.50 5.00 0.64
H -3.02 3.54 -1.43
H -3.82 2.57 -3.21
H -2.79 1.17 -3.14
H -5.12 0.57 -2.80
H -4.06 0.08 -1.53
H -5.97 3.16 -3.27
H -7.61 3.20 -2.60
H -6.92 1.68 -3.09
H -1.05 2.48 -2.97
H 0.13 2.97 -0.32
H 0.76 1.35 -2.52
H 2.14 3.41 -0.91
H 1.65 3.61 -2.60
H 4.13 2.70 -1.83
H 3.27 1.23 -2.34
H 3.39 2.59 -3.41
O 3.69 3.59 -5.35
H 3.13 4.37 -5.46
H 4.24 3.56 -6.14
O -1.39 -3.38 6.84
H -1.18 -3.73 7.71
H -1.77 -2.51 7.01
O 0.55 -5.97 -1.76
H -0.03 -6.59 -2.22
H 0.76 -6.41 -0.92
O -2.06 -0.36 -4.59
H -2.62 -0.18 -5.35
H -2.21 -1.29 -4.38
O 6.12 -2.64 -2.63
H 6.52 -3.48 -2.37
H 6.85 -2.02 -2.61
O 1.80 4.85 -4.66
H 0.97 4.57 -5.05
H 1.74 5.80 -4.62
O 1.65 -3.15 6.82
H 0.80 -3.45 6.47
H 1.54 -2.19 6.88
O 0.30 4.00 4.08
H 0.88 3.28 4.35